Work out how many lines further below have the word "for" in them; a number is enough.
┌──
Arrangement A

Density functional theory data (wB97M-V/def2-TZVPD) for a cluster of 13 separate species, C5H33NO12 in total.

The geometry in XYZ format:
```
51
Properties=species:S:1:pos:R:3:lowdin_charge:R:1
N -0.82 -1.41 0.22 0.14
C 0.54 -1.50 0.42 -0.37
C 1.48 -0.55 0.20 -0.12
C 1.24 0.64 -0.63 -0.17
C 2.19 1.16 -1.42 -0.03
C 0.94 -2.88 0.91 -0.04
H -1.31 -0.53 0.23 0.05
H -1.31 -2.06 0.82 0.10
H 2.53 -0.74 0.37 0.11
H 0.27 1.11 -0.75 0.08
H 1.90 1.95 -2.10 0.07
H 3.24 0.92 -1.38 0.06
H 2.00 -3.04 0.75 0.07
H 0.47 -3.66 0.31 0.08
H 0.79 -3.12 1.96 0.08
H -3.73 0.26 -0.14 0.02
H -4.66 0.08 1.04 0.05
O -3.73 0.00 0.80 -0.07
H -1.64 0.37 -1.73 0.04
H -1.92 1.59 -0.60 0.01
O -2.23 0.91 -1.20 -0.06
H 1.89 3.41 0.69 -0.01
H 0.68 4.37 0.75 0.01
O 1.64 4.33 0.83 -0.06
H 2.76 1.07 1.66 0.05
H 3.04 2.44 2.27 0.07
O 2.37 1.93 1.84 -0.04
H -1.04 -0.82 2.82 0.02
H -1.84 0.21 3.56 0.02
O -0.98 -0.24 3.59 -0.05
H 0.90 -1.03 -3.96 0.03
H 1.90 -0.10 -3.29 -0.01
O 1.84 -0.87 -3.88 -0.05
H -0.29 1.52 3.14 0.03
H 0.69 2.62 2.68 0.03
O -0.25 2.44 2.83 -0.07
H -2.11 2.42 2.75 0.01
H -3.37 1.70 2.22 0.02
O -2.84 1.83 3.01 -0.06
H -1.87 -1.89 -3.91 0.04
H -2.22 -3.14 -3.13 0.03
O -1.79 -2.84 -3.91 -0.03
H 0.76 -3.63 -1.92 -0.06
H -0.16 -3.48 -3.13 0.01
O -0.08 -3.86 -2.24 -0.06
H -1.73 3.98 0.79 0.05
H -0.80 2.78 1.20 0.01
O -1.30 3.21 0.46 -0.06
H 2.75 -2.89 -2.65 0.06
H 2.75 -2.04 -1.43 0.02
O 2.50 -2.92 -1.71 -0.06
```

Values from the calculation:
Gap between HOMO and LUMO (eV): 8.3

Arrangement B

Density functional theory data (wB97M-V/def2-TZVPD) for a structure of composition C5H33NO12.

The geometry in XYZ format:
```
51
Properties=species:S:1:pos:R:3:lowdin_charge:R:1
C -0.46 -2.71 -2.24 0.02
C -1.36 -2.69 -1.05 -0.52
N -1.72 -1.46 -0.58 0.09
C -1.06 -0.18 -0.80 -0.18
C 0.09 0.03 0.21 -0.19
C -0.47 0.01 1.62 -0.08
O -1.68 -3.71 -0.44 0.01
H -0.16 -1.73 -2.61 0.05
H -1.12 -3.01 -3.07 0.10
H 0.31 -3.46 -2.12 0.09
H -2.34 -1.46 0.21 0.12
H -1.84 0.55 -0.59 0.10
H -0.76 -0.02 -1.83 0.07
H 0.67 0.92 0.00 0.08
H 0.76 -0.81 0.06 0.08
H -0.95 -0.93 1.82 0.06
H 0.36 0.06 2.33 0.03
H -1.04 0.89 1.85 0.06
H 1.25 -2.76 2.38 0.03
H 2.56 -2.19 3.01 0.08
O 1.95 -2.08 2.27 -0.06
H -3.16 1.09 1.37 -0.02
H -3.82 0.23 2.60 0.05
O -3.26 0.25 1.81 -0.06
H -0.28 -4.40 1.25 0.02
H -1.03 -3.31 1.56 0.04
O -0.24 -3.75 1.92 -0.04
H 2.69 2.03 0.59 0.08
H 2.75 2.35 -0.89 -0.01
O 2.48 2.74 -0.05 -0.11
H 0.99 3.59 0.02 0.02
H 0.14 4.67 -0.41 0.06
O 0.01 3.78 -0.03 -0.09
H -1.38 2.90 -2.06 0.04
H 0.15 2.75 -2.12 0.02
O -0.67 2.56 -2.60 -0.04
H -2.03 2.29 0.26 0.00
H -2.00 3.51 1.08 0.05
O -2.55 2.73 0.94 -0.05
H -0.67 0.99 -4.10 0.01
H -1.47 -0.24 -3.50 0.01
O -0.90 0.05 -4.21 -0.06
H 1.74 0.99 -1.78 0.11
H 2.39 0.36 -0.57 0.06
O 2.14 1.23 -0.93 -0.12
H 3.62 -0.92 -0.23 0.06
H 2.57 -1.86 0.61 0.02
O 2.81 -1.44 -0.24 -0.07
H 2.41 0.05 2.62 0.00
H 1.31 0.80 3.39 0.02
O 2.27 0.73 3.29 -0.06
```

Values from the calculation:
Gap between HOMO and LUMO (eV): 9.5

Computed energies relative to the best structure, in eV: arrangement A 0.000; arrangement B 3.348

Arrangement A

Density functional theory data (wB97M-V/def2-TZVPD) for a cluster of 11 separate species, C5H33NO12 in total.

The geometry in XYZ format:
```
51
Properties=species:S:1:pos:R:3:lowdin_charge:R:1
C 1.89 -2.06 2.44 -0.02
C 1.12 -0.98 1.68 -0.38
O 0.08 -0.38 2.48 -0.07
C 2.04 0.16 1.23 -0.14
C 2.95 -0.22 0.06 -0.19
N 2.80 0.56 -1.21 -0.05
C 2.84 -0.13 -2.48 -0.29
O 2.24 -1.41 -2.58 -0.08
H 1.78 -2.01 3.52 0.09
H 2.98 -2.02 2.36 0.08
H 1.57 -3.03 2.07 0.08
H 0.50 -1.38 0.88 0.11
H 0.44 -0.01 3.27 0.08
H 1.55 1.12 1.07 0.11
H 2.66 0.33 2.11 0.07
H 3.07 -1.27 -0.16 0.12
H 3.94 0.14 0.41 0.11
H 2.05 1.24 -1.12 0.09
H 2.29 0.50 -3.19 0.12
H 3.90 -0.32 -2.68 0.12
H 1.34 -1.35 -2.23 0.02
O -2.72 0.04 -2.48 -0.07
H -2.56 1.00 -2.60 0.03
H -3.66 -0.08 -2.53 0.05
O -0.26 -0.96 -1.64 -0.04
H 0.03 -1.22 -0.76 0.02
H -1.23 -0.94 -1.70 0.02
O -2.52 2.50 -1.44 -0.07
H -2.15 2.46 -0.54 0.00
H -2.10 3.15 -2.01 0.05
└──
3